- (G1 S1) RIIRIS301E Apply risk management processes
- ACDC Chemical Course
- AHCBIO203 – Inspect and clean machinery, tools and equipment to preserve biosecurity
- AHCMOM213 & FWPCOT2239 Cluster
- AHCMOM302 Perform machinery maintenance
- AHCMOM304 Operate machinery and equipment
- AHCMOM305 Operate specialised machinery and equipment
- AHCWHS302 Contribute to workplace health and safety processes
- AHCWRK320 Apply environmentally sustainable work practices
- BSBDIV301 Work effectively with diversity
- BSBSUS201 Participate in environmentally sustainable work practices
- Confined Space & Gas Test Cluster
- CPCCCM3003A Work safely around power sources, services and assets
- EWP Cluster – RIIHAN301E & TLID3035 (2 Units)
- EWP Cluster – RIIHAN301E-TLID3035-TLILIC0005 (3 Units)
- FWPCOT2236 Fall trees manually (basic)
- FWPCOT2237 Maintain chainsaws
- FWPCOT2240-3301 Polesaw cluster
- FWPCOT2254 & FWPCOT2256 Cluster
- HLTAID009 & HLTAID011 Provide first aid + CPR
- HLTAID009 CPR & UETTDRRF06 Perform rescue from a live LV panel
- HLTAID009 Provide Cardiopulmonary Resuscitation
- Language Literacy & Numeracy Assessment
- MSMWHS201 Conduct Hazard Analysis
- MSMWHS216 Operate Breathing Apparatus
- MSMWHS217 Gas test atmospheres
- RIICOM302D Communicate Workplace Information
- RIIHAN301E Operate Elevated Work Platform
- RIIHAN309F Conduct Telescopic Materials Handler Operations
- RIIMPO304E Conduct wheel loader operations (RIO)
- RIIMPO308F Conduct tracked dozer operations
- RIIMPO310F Conduct grader operations
- RIIMPO312E Conduct scraper operations
- RIIMPO317F Conduct roller operations
- RIIMPO318F Conduct Civil Construction Skid Steer Loader operations
- RIIMPO319E Conduct Backhoe/Loader Operations
- RIIMPO320F Conduct Civil Construction Excavator Operations
- RIIMPO321F Conduct Civil Construction Wheeled Front End Loader Operations
- RIIMPO323E Conduct Civil Construction Dozer Operations
- RIIMPO337E Articulated haul truck
- RIIMPO338E Conduct rigid haul truck operations
- RIIRIS301E Apply risk management processes (G1 S1)
Here the entry breaks off for data records.
____________
! GGA+U KHoVF6, relaxed; values from VASP
&SYSTEM
  ibrav = 0, nat = 18, ntyp = 4
/
ATOMIC_SPECIES
K 39.10 K.upf
Ho 164.93 Ho.upf
V 50.94 V.upf
F 19.00 F.upf
ATOMIC_POSITIONS crystal
K 0.2864 0.0364 0.2500
K 0.7136 0.9636 0.7500
Ho 0.0000 0.5000 0.5000
Ho 0.5000 0.5000 0.0000
V 0.0000 0.0000 0.5000
V 0.0000 0.5000 0.0000
F 0.0485 0.4074 0.2225
F 0.0485 0.8260 0.6412
F 0.0620 0.8120 0.2500
F 0.3151 0.1740 0.7225
F 0.3151 0.5926 0.1412
F 0.3222 0.5722 0.7500
F 0.6778 0.4278 0.2500
F 0.6849 0.4074 0.8588
F 0.6849 0.8260 0.2775
F 0.9380 0.1880 0.7500
F 0.9515 0.1740 0.3588
F 0.9515 0.5926 0.7775
CELL_PARAMETERS angstrom
-3.8876 4.0824 5.6349
3.8876 -4.0824 5.6349
3.8876 4.0824 -5.6349
! * mass density: 3.425 g/cm³
! * space-group type: Imma, No. 74
! * volume: 357.72 Å³ per cell
! * spin magnetization: 0.33 μB per atom
! * E: -6.03 eV/atom

~~~~~

Material: MnTcH2
Method: DFT, GGA-PBE
State: optimized geometry

For the final energy, the calculation gives -0.220 Ha/atom. For the density of states at the Fermi level, the calculation gives 20.094 states/eV/cell. The value obtained for the magnetization is 2.4 μB/f.u. Its calculated volume is 8.42 A^3/atom.

The space group is Fm-3m (No. 225) and the conventional cell measures 5.1268, 5.1268 and 5.1268 Å, with angles of 90.00, 90.00 and 90.00 degrees. The asymmetric unit holds Mn at (0.0000, 0.0000, 0.0000), Tc at (0.0000, 0.0000, 0.5000) and H at (0.2500, 0.2500, 0.2500).

~~~~~

Sr2CoI | Alexandria via LeMat-Bulk | meta-GGA SCAN | PBEsol geometry; V = 258.1 Å³/cell; total energy = -196.710 eV/cell; ΔE_f (raw) = 0.06 eV per atom; calculated density = 4.65 g/cm³; N(E_F) = 1.98 states/eV/f.u.; crystal system = tetragonal
1.0
6.950 0.079 0.129
-2.559 6.462 -0.129
-2.559 -3.027 5.711
I Sr Co
2 4 2
Cartesian
0.000 0.000 0.000
0.916 4.130 1.396
4.751 3.323 0.762
-1.640 -0.668 3.553
1.835 1.140 2.529
-1.282 3.233 4.577
-2.559 1.718 2.791
0.916 -0.615 4.315

***

InP2H | Alexandria via LeMat-Bulk | meta-GGA SCAN | PBEsol geometry; V = 60.4 Å³/cell; total energy = -53.707 eV/cell; calculated density = 4.89 g/cm³; N(E_F) = 2.49 states/eV/f.u.; crystal system = cubic
1.0
-3.390 2.114 -1.853
-3.906 -2.000 -0.368
-3.392 1.321 2.479
P In H
2 1 1
Cartesian
-2.672 0.359 0.064
-8.016 1.076 0.193
-5.344 0.717 0.129
0.000 0.000 0.000

***

NaGd3Ti2Sb2O14 | Alexandria via LeMat-Bulk | meta-GGA SCAN | PBEsol geometry; V = 541.0 Å³/cell; total energy = -877.861 eV/cell; ΔE_f (raw) = -2.93 eV per atom; calculated density = 6.50 g/cm³; energy above the lowest structure with this stoichiometry = 0.0 meV/atom; N(E_F) = 0.00 states/eV/f.u.; crystal system = monoclinic
1.0
7.240 0.000 0.000
0.000 7.277 -0.003
0.000 0.070 10.267
Na Gd Ti Sb O
2 6 4 4 28
Cartesian
3.620 0.035 5.134
3.620 3.639 -0.002
5.308 5.476 2.564
1.932 1.872 7.700
5.406 1.837 2.566
1.833 5.511 7.698
0.000 3.639 -0.002
0.000 0.035 5.134
0.000 0.000 0.000
0.000 3.674 5.132
5.513 1.872 7.700
1.727 5.476 2.564
5.459 5.511 7.698
3.620 3.674 5.132
1.780 1.837 2.566
____________
- RIIRIS402E Carry out Risk Management Process (G2)
- RIISAM202E Isolate and access plant
- RIISAM212E Service mine plant and equipment
- RIISAM301F Test operational functions of vehicles and equipment
- RIIVEH201E Operate light vehicle
- RIIVEH305F Operate and Maintain a 4WD
- RIIWHS202E Enter and Work in Confined Spaces
- RIIWHS204E Work Safely at Heights
- Standard 11
- SUPERVISORS – G8 & G9 Cluster
- SUPERVISORS – S123 Cluster
- TLIF2080 Safely Access the Rail Corridor
- Working at Heights Cluster